Saturday, December 25, 2010

=====
Entry 1:
A cluster of 2 separate species, C4H4F3N2O2 in total. Source: the OMol25 dataset; level of theory: wB97M-V/def2-TZVPD.

Last column: Mulliken charge in e.
Element x y z (Å)
1 F -1.8346 1.3256 0.5519  -0.23
2 F -1.3457 0.3181 -1.3811  -0.19
3 F -0.6069 2.2967 -0.9581  -0.21
4 O -2.3639 -2.3928 -1.1998  -0.23
5 O -0.9641 -1.6884 0.4078  -0.41
6 N 0.6049 0.4656 1.4549  0.50
7 N 0.7293 -0.0486 2.5218  -0.54
8 C -1.7111 -2.0840 -0.3589  0.67
9 C -0.9595 1.1124 -0.4387  0.87
10 C 1.5084 -0.0534 -0.7794  -1.28
11 C 0.3922 0.3840 0.1789  0.61
12 H 2.3559 -0.3564 -0.2682  0.46
13 H 1.0918 0.5254 3.2774  0.32
14 H 1.1413 -0.6869 -1.5632  0.33
15 H 1.9620 0.8829 -1.4452  0.35

Kohn-Sham gap = 9.7908 eV
total charge = +1
total energy = -19430.68996 eV

***

Entry 2:
A structure of composition C8H14CaO2P2. Source: the OMol25 dataset; level of theory: wB97M-V/def2-TZVPD.

Last column: Mulliken charge in e.
Element x y z (Å)
1 Ca 2.2378 2.5717 -1.1113  1.58
2 P 0.7600 -0.9859 -1.0044  0.34
3 P 2.2622 -1.1921 0.7470  0.18
4 O 3.5270 -2.0805 0.2534  -0.47
5 O -1.8631 -0.4999 -1.8031  -0.40
6 C -2.1398 1.0103 2.0637  -0.39
7 C -0.5494 -0.6145 -2.3034  -0.58
8 C -1.7659 1.3736 -0.2783  0.13
9 C -1.9468 0.0228 -0.5282  -0.77
10 C -2.2623 -0.8212 0.5271  0.06
11 C 2.7891 0.5361 0.7210  -0.56
12 C -1.8577 1.8757 1.0123  -0.76
13 C -2.3597 -0.3376 1.8250  -0.67
14 H 0.0226 -2.0297 -0.3984  0.12
15 H -0.2604 0.3024 -2.8383  0.24
16 H 1.9820 1.1153 1.1752  0.58
17 H 3.3950 -2.9845 0.5688  0.38
18 H -1.7061 2.9256 1.2013  0.48
19 H 0.7995 0.4765 -0.6558  -0.28
20 H -2.6118 -1.0088 2.6249  0.44
21 H 2.8474 0.8617 -0.3619  -0.45
22 H -2.4293 -1.8680 0.3261  0.57
23 H 3.7088 0.7443 1.2594  0.48
24 H -2.2057 1.3798 3.0736  0.46
25 H -1.5568 2.0464 -1.1003  0.74
26 H -0.5460 -1.4204 -3.0342  0.46
27 H 1.7290 -1.3989 -1.9613  0.11

Kohn-Sham gap = 5.0123 eV
total charge = +2
total energy = -49613.93695 eV

***

Entry 3:
A cluster of 2 separate species, C4H10N2 in total. Source: the OMol25 dataset; level of theory: wB97M-V/def2-TZVPD.

Last column: Mulliken charge in e.
Element x y z (Å)
1 N -1.9339 -2.3968 -1.4450  -0.50
2 N 2.4920 1.0674 2.2306  -0.40
3 C -2.7296 -0.2157 -1.1506  -0.84
4 C 1.3239 0.6139 2.0432  -0.26
5 C -1.8502 -1.0462 -1.7651  0.08
6 C 3.0349 1.7986 1.0270  -0.70
7 H 4.1023 1.7216 1.1958  0.28
8 H -2.9171 -2.5896 -1.2898  0.22
9 H -3.1165 0.7545 -1.5293  0.24
10 H 0.9942 -0.3331 2.4452  0.26
11 H 0.5250 1.0737 1.4256  0.25
12 H 2.8869 1.2257 0.0936  0.27
13 H -0.7809 -0.8981 -2.0014  0.28
14 H 2.7239 2.8418 1.0201  0.30
15 H -1.4744 -3.0851 -2.0195  0.24
16 H -3.2803 -0.5325 -0.2803  0.28

Kohn-Sham gap = 8.9500 eV
total charge = 0
total energy = -7286.81496 eV
SMILES string = C=CN.C=NC

***

Entry 4:
A cluster of 11 separate species, C44H62F27NO21 in total. Source: the OMol25 dataset; level of theory: wB97M-V/def2-TZVPD.

Last column: Mulliken charge in e.
Element x y z (Å)
1 F 6.0696 10.2081 -12.2750  -0.25
2 F 16.2017 9.8520 -7.1052  -0.13
=====
== The piece goes on ==

Reiki for Dr. Mom

Reiki is gentle, loving and effective as a complementary healing therapy. Universal life force energy (sometimes called chi, qi or prana) is always accessible and ready to aid in our healing process. If you're a Mom who wants to feel more in control of your child(ren) and family's health, consider adding Reiki to your healing arsenal as part of a self-care regimen, or you may wish to become a certified Reiki practitioner.

Reiki treatments can be tremendously relaxing and beneficial for people on the go. Sessions serve as dedicated "me" time. The benefits of slowing your mind and opening your heart are far reaching and long lasting. Stress relief, emotional release, restful sleep, improved focus and concentration, faster healing and clearer thinking are just a few benefits of Reiki. Some clients have reported lower blood pressure after several sessions. Because Reiki initiates an energetic and physical purging, it aids in the removal of waste from the body that may be the result of prescription drugs and poor dietary choices. Scheduling a Reiki therapy session is never a problem since they can take place either in person (hands-on) or from a distance. Adding Reiki to your self-care program will yield phenomenal results and greatly enhance your quality of life.

Learning to use Reiki for self healing and to help your family and friends is quick and easy. First degree or level I Reiki classes usually take place over two days. A sample course outline may include:
  • What Reiki is
  • Uses and benefits of Reiki
  • Reiki Precepts & Principles
  • A History of Reiki
  • How to ground & protect yourself
  • Hand positions for self treatment
  • Hand positions for treating others
  • How to conduct a Reiki session
First degree Reiki training will prepare you to use Reiki for self healing and certify you to heal others free of charge. The attunement/initiation activates your ability to serve as a healing conduit using pure energy from the universe. This level of training is perfect for Dr. Mom to develop and hone techniques for self-healing and healing others around her, free of charge. Reiki can place a great deal of control in the hands of the family caregiver. Empowered with the knowledge of Reiki, you can help yourself, your children, your family members and friends by:

  • calming hyperactive children
  • stemming feelings of anger and frustration in children and adults
  • encouraging deep relaxation and improved sleep
  • easing anxiety and stress for yourself and those around you
  • reducing pain and inflammation
  • relieving agitation and anxiety for yourself and others during times of stress
  • bringing comfort to the elderly
  • building confidence in children
  • relieving pain and discomfort from illness and injury
  • eliminating feelings of fear and uncertainty
  • improving self-confidence
  • calming and focusing your own mind in times of emergency
  • increasing your intuition
  • helping and healing yourself, loved ones, friend, pets and plants
From the little league field to at home use, Reiki will help Dr. Mom maintain calm and control over the many challenges that arise in day-to-day life. Click here to learn how you can become a certified Reiki practitioner.  Click here for the Body/Mind/Spirit Directory to find a Reiki practitioner near you.  Click here to join my Facebook community and for updates on natural healing and Reiki.

Monday, December 13, 2010

• Here the piece breaks off for quantum chemistry results:
┌──
{
  "formula": "C9H19ClN3O",
  "method": "ωB97M-V/def2-TZVPD",
  "homo_ev": -12.24,
  "multiplicity": 1,
  "lumo_ev": -3.1,
  "total_charge": 1,
  "e_tot_ha": -1053.7281,
  "relative_energy_kcal_mol": 32.36,
  "symbols": ["H", "H", "H", "N", "C", "C", "H", "H", "C", "H", "H", "O", "H", "H", "Cl", "N", "C", "H", "H", "H", "H", "H", "C", "C", "C", "H", "H", "N", "C", "H", "H", "C", "H"],
  "positions_angstrom": [[-0.844, -0.706, -0.723], [-5.117, -0.063, 0.723], [5.875, -0.527, -0.635], [3.092, 0.195, -0.488], [5.059, -1.004, -1.160], [5.075, -2.302, -1.384], [5.465, -3.008, -0.666], [-0.309, -2.467, -0.782], [3.928, -0.141, -1.656], [1.487, 0.510, 1.415], [1.319, -1.829, 0.957], [-4.943, 0.513, -0.031], [-4.137, 2.335, -0.409], [1.632, -1.663, -1.740], [-0.747, -1.404, 2.099], [0.986, 0.143, 0.609], [-4.320, 1.700, 0.458], [-5.484, 1.773, 2.279], [-4.809, 3.339, 1.795], [3.463, 0.733, 0.282], [3.363, -0.673, -2.407], [-2.483, 2.241, 1.483], [-5.253, 2.414, 1.424], [1.851, -0.160, -0.425], [-2.997, 1.349, 1.121], [-3.156, 0.674, 1.966], [4.719, -2.703, -2.327], [1.140, -0.885, -1.311], [0.418, -1.222, 0.840], [-6.197, 2.652, 0.936], [4.317, 0.792, -2.055], [-0.050, -1.437, -0.604], [-2.344, 0.832, 0.415]]
}
└──

Reaffirm Your Affirmations

Affirmations are present-tense statements that confirm or verify reality. For some it's hard to accept that their world is created by their own thoughts and words. On conscious and sucbonscious levels, affirmations are working in our lives all the time. Scary, huh?

With the best of intentions, people everywhere craft lists of desired life changes in the form of affirmations. New Year's Day is probably the most common time for this ritual. Before long, these well-intended wants and dreams die an inglorious death as daily madness resumes its place in our consciousness. Positive affirmations, meditation and prayer give way to the hundreds, maybe thousands, of tasks that lay before us each day. Not to worry; here are a few ways to sustain your best intentions throughout the year and beyond.

Create account passwords that affirm.  How many times a day do you log into accounts on your computer?  Why not use the power of numbers to your advantage by creating user passwords that affirm your reality.  Some good ones may be Plenty0$in2011, MortgageFreeby2013, DebtFree4Ever, coaching150clients or 10999followers. Turn every mundane login into an empowering affirmation to support the reality you desire.

Keep affirmations in plain view. Nothing new here. But this trick often loses steam after months of looking at the same tattered note(s) taped to the bathroom mirror and refrigerator door. But with a bit of tweaking, this can become a very effective way to revive your affirmations. Use inexpensive business card stock to make affirmation cards. Keep them in a box or bowl or stack on your nightstand and before going to bed at night, grab one or two and put them on your iPad screen or tape one to the front of your iPod.  Tape one over the light switch in the kitchen or over the start button on the coffee maker. Put one inside or over the laces of your running shoes. Put one over your keyhole to your car or home. The point is to take a minute or so every night at bedtime to place one or two cards where they will be an obstruction, forcing you to touch, see and think about your affirmation the next morning.

Create electronic calendar alarms using your affirmations. Set them up on your Smart Phone and your desktop computers at work and at home. Each is a reminder to give thought and energy to the creation of the reality you crave.

I am affirming these tips are exactly what you need to create a better world for yourself and for everyone. And so it is.  Happy New Year!

Saturday, December 11, 2010

Reiki for Menstrual Cramps

The medical term for menstrual cramps is dysmenorrhea.  The pain ranges from dull to debilitating in intensity, and leaves some women bedridden for a few days each month. The causes of abdominal cramps may vary, so it's important to seek a medical diagnosis if your monthly cramps are frequent and severe. Menstrual cramps may be felt in the lower abdomen, lower back and thigh areas.  Some women experience sudden perspiration, nausea, vomiting, a light-headed feeling and loose stools. This blogger believes every physical condition is a manifestation of something on a spiritual and emotional level. Internationally acclaimed spiritual teacher, Marianne Williamson, says a probable cause of menstrual problems may be rejection of one's femininity, guilt, fear, or a belief that the genitals are sinful or dirty.

According to the Mayo Clinic, menstrual cramps occur when the uterus contracts as it works to expel its lining.  During this process the body produces hormone-like substances called prostaglandins. Higher levels of prostaglandins trigger pain and inflammation and are associated with more severe menstrual cramps.

Because Reiki is pure energy, it works well with any medical treatment plan. It will not interfere with your doctor's orders and can be used safely and effectively while taking over-the-counter and prescription drugs.

A Reiki therapy session for the relief of menstrual cramps will bring relief. Some clients feel better within the first few minutes.  Reiki is equally effective whether performed in person (hands on) or from a distance. During the session I may, with the permission of the client, call upon Archangel Raphael and any of the client's ancestral and spiritual guides to assist in the healing. Body scanning and a pendulum may be used to identify energy blocks for my own information as a healer. I do not attempt to direct energy as it is completely intuitive and knows where to go and in what quantities for the highest good of the client. If guided to do so, I may channel green light energy with an intent to address the direct cause of the cramps.

Of the thousands of products available for the relief of menstrual cramps, my two favorites are Menstrual Cramp and Abdominal Oil by Dherbs and Queen Afua's Womens Life Formula VII.  I've used both with great results and I've been recommending them to clients for many years.

What comes next are data records, not part of the text:
/*
157
Properties=species:S:1:pos:R:3 method="wB97M-V/def2-TZVPD" homo_ev="-8.1 / -8.1" total_charge=0 multiplicity=6 gap_ev="8.073 / 7.062" e_tot_ha=-17538.80121 lumo_energy_ev="-0.02 / -1.03"
Fe 16.4575 19.3066 18.9921
O 19.8261 20.5580 19.7225
C 18.5250 20.3289 19.5406
O 17.8058 19.8776 20.5586
O 18.0530 20.5311 18.3725
H 20.0199 20.1140 20.5835
O 13.2545 20.4723 16.8908
C 14.6409 20.2860 17.0396
O 14.8557 19.2825 17.8030
O 15.4202 21.0947 16.4422
H 13.3379 21.3194 16.4942
C 16.5646 16.5626 18.2220
O 16.9282 15.8192 19.3417
O 17.2622 17.7297 18.2153
C 17.0774 15.6438 17.0822
F 18.3407 15.2654 17.1818
F 16.2791 14.6081 17.0002
F 16.9605 16.2650 15.9135
C 15.8411 15.1369 19.9724
C 16.1949 14.5370 21.3129
H 16.7125 13.6350 21.2354
H 16.6576 15.1914 22.0134
H 15.2271 14.3677 21.8097
H 15.4371 14.3133 19.4076
H 14.9782 15.8676 20.1289
H 15.4817 16.6475 18.1332
C 10.4153 18.7010 20.2137
O 10.9835 19.1721 21.1802
N 10.9472 18.0534 19.1678
C 10.1042 17.5591 18.1269
C 12.4357 18.0757 19.0470
H 9.3025 18.7699 20.3043
H 9.0821 17.7048 18.3933
H 10.1394 16.4857 17.9103
H 10.2756 18.1158 17.2045
H 12.7981 19.0283 18.7163
H 12.8225 17.7350 20.0108
H 12.7991 17.4074 18.2974
C 15.9656 22.1990 20.3194
O 15.4281 21.2352 19.8180
N 15.3476 23.3234 20.5210
C 13.9775 23.4795 20.2506
C 15.9381 24.2609 21.4611
H 17.0445 22.1807 20.7800
H 13.5959 22.7967 19.4976
H 13.8834 24.5156 19.9168
H 13.3908 23.2627 21.1767
H 15.6366 25.2802 21.1310
H 15.3980 24.1619 22.4086
H 16.9982 24.0503 21.5870
C 15.6521 18.4295 21.7246
O 15.2489 18.6104 20.5831
N 14.8396 18.3027 22.7198
C 15.5148 17.9019 23.9279
C 13.4131 18.4489 22.7223
H 16.6742 18.2830 21.9459
H 14.9225 18.0147 24.8828
H 16.5101 18.3753 23.9541
H 15.7112 16.8527 23.8886
H 13.1259 19.1644 21.9862
H 12.8947 17.4880 22.5940
H 13.0833 18.8403 23.6485
C 23.2734 17.0565 12.5334
O 22.4401 17.4730 13.2678
N 23.6747 17.6463 11.3911
C 24.5665 16.9722 10.4665
C 23.1187 18.9441 11.0253
H 23.9469 16.2255 12.8139
H 25.0002 16.1098 10.9801
H 25.3690 17.6877 10.2174
H 24.0553 16.6644 9.5909
H 23.8429 19.3219 10.3242
H 22.1360 18.9216 10.5821
H 23.0778 19.6089 11.8699
C 21.5987 18.0631 21.7812
O 21.2886 19.1885 21.4385
N 20.7775 16.9600 21.7805
C 21.3154 15.6524 22.0229
C 19.4774 17.0355 21.0233
H 22.5645 17.7369 22.3015
H 21.5346 15.1286 21.1371
H 20.6137 15.0192 22.5369
H 22.2187 15.5741 22.6882
H 18.6872 16.3749 21.4655
H 19.1375 18.0634 21.1358
H 19.6152 16.6422 20.0183
C 21.9486 17.2475 18.2773
O 22.0832 16.2259 18.9565
N 22.5498 17.4702 17.0951
C 22.4201 18.8685 16.6173
C 23.4503 16.4827 16.6268
H 21.3382 18.1370 18.5091
H 21.6051 19.4386 17.0995
H 22.1675 18.8732 15.5551
H 23.3577 19.3945 16.8657
H 24.5035 16.8786 16.6505
H 23.3664 15.5674 17.1750
H 23.2343 16.2193 15.5815
C 16.7423 13.7963 12.0858
O 15.7471 13.1564 12.3543
N 17.8248 13.9584 12.8812
C 19.0799 14.4940 12.2971
C 17.9297 13.1995 14.0724
H 16.8865 14.3755 11.1740
H 19.6380 13.5496 11.9858
H 19.6884 14.9938 13.1002
H 18.9026 15.2433 11.5251
H 18.4907 13.6970 14.8491
*/

A healing exercise you can do for menstrual cramps is to lie comfortably with the palms of your hands on your abdomen.  Take slow, deep, rhythmic breaths.  Be aware of your breath and clear your mind. Imagine green light raining gently over your entire body.  Visualize healing energy flowing through your palms. Do this for 3-4 minutes with a clear mind.  You can follow with this affirmation by Marianne Williamson:  I accept my full power as a woman and accept all my bodily processes as normal and natural.  I love and approve of myself.

Feel free to comment on this post.  I am particularly interested in feedback on remedies recommended in this blog. As always, I wish you love, light and happy healing.

Thursday, December 2, 2010

Reiki in the Courtroom

California's approximate 37,238,114 residents file nearly 1,400,000 lawsuits annually.  We are reputed to be one of the most litigious states in the country ... or perhaps the world!  A recent report by California Citizens Against Lawsuit Abuse (CALA) found that the fiscally ailing Los Angeles Unified School District spent almost $45,000,000 in litigation costs over the last three years. While Californians argue cases that are often frivolous and without merit, anger, frustration, stress and wasted taxpayer dollars continue to take their toll on our financial, mental and physical health.  With such staggering numbers, it stands to reason that if you live in California long enough, you will be sued.  It happened to me.

Being dragged to the courthouse on unfounded charges was frustrating and stressful. Never having been sued, I didn't know if I would be blessed with a reasonably fair judge who would look at the legal issue being presented, or someone who would react irrationally like the individuals who filed the suit.  While I am grateful for every life experience and the education it provides, this one was a doozy. Two trips to downtown Los Angeles (the first date was postponed), $30 for parking, wasted time, opportunity cost and the knowledge that lost tax dollars and time were unrecoverable. This was a time for Reiki and a keen focus on positive outcomes in the highest and best interest of everyone involved.

  • On the morning of my hearing and with an open and clear heart, I prayed/meditated asking that the day unfold for the greatest good of everyone involved, including the plaintiffs in my case.
  • I recited 108 repetitions of a Tara chant which frees us from 'everyday' dangers and from a narrow conception of the spiritual path, while leading us to a place of compassion.  (Click here for that chant and its meaning.)
  • I drew Cho Ku Rei in my doorway for protection from harm and spiritual guidance upon my exit from home.
  • Before speaking, I drew Sei Hei Ki in front of my face, that my words would take on an energy of love and healing before reaching the listeners' ears.
  • I exhaled and released (as much as humanly possible) attachment to the outcome of the day.
I felt immediate relief, thanks to the gift of Reiki to participate in my own healing. I was guided to temper my words with love and compassion, not fear and anger.  My comments were well-received by the judge and all charges against me were dismissed.  Add one more point to the scoreboard for Reiki, it is unadulterated universal life force energy, immune to manipulation by mere humans, and available for everyone's use.

If you live in or near Los Angeles and would like to experience Reiki firsthand or learn Reiki for healing of yourself, your situations and others, visit Reiki by Rhonda.

Click here to 'like' my Page on Facebook and become part of my wellness community.